== Job ==
Could you search the calculation results underneath for the word "string" and restate each line that has it?

== Data ==
-- begin --
Here is a gas-phase ion, C8H17N2O2 (charge +1) from OMol25. Energies are from ωB97M-V/def2-TZVPD.

Properties
Multiplicity ... 1
LUMO level ... -3.21 eV
Total charge ... +1
SMILES string ... CCN1C=[N+](O[C@@H](C)OC)CC1
Highest occupied orbital energy ... -13.22 eV

Last column: natural (NBO) charge in e.
Atoms and positions in Å:
H 0.603 1.906 2.198  0.22
O -1.624 -1.776 0.293  -0.55
H -2.439 0.559 -0.505  0.23
H 3.379 0.722 -0.908  0.20
C 0.292 1.978 1.234  -0.22
C 0.773 0.059 0.058  0.35
H -3.974 -0.103 0.324  0.25
H 0.759 -1.068 -0.135  0.27
C -1.314 -3.099 0.778  -0.25
H -2.187 -3.610 1.066  0.19
H 2.154 2.522 0.603  0.22
C -2.023 -0.800 1.195  0.36
H -0.862 -3.575 -0.023  0.21
H 1.012 2.991 -0.501  0.22
H -0.889 -2.998 1.695  0.18
H -2.673 -1.126 2.092  0.20
H 1.463 -0.196 -3.238  0.24
N -0.038 0.557 0.943  -0.05
H 3.029 -0.504 -3.126  0.24
C 2.191 -0.486 -2.531  -0.63
H -0.727 2.412 1.186  0.23
N 1.330 1.009 -0.655  -0.35
C 2.424 0.797 -1.631  -0.21
O -0.869 -0.143 1.804  -0.36
H -2.945 1.036 1.297  0.22
H 2.162 -1.457 -1.951  0.23
C 1.299 2.246 0.093  -0.23
H 2.584 1.822 -2.210  0.24
C -2.891 0.327 0.553  -0.65

Here is a gas-phase ion, C8H17N2Si (charge +1) from OMol25. Energies are from ωB97M-V/def2-TZVPD.

Properties
Multiplicity ... 1
LUMO level (alpha / beta) ... -3.80 / -3.80 eV
Total charge ... +1
Highest occupied orbital energy (alpha / beta) ... -11.57 / -11.57 eV

Last column: natural (NBO) charge in e.
Atoms and positions in Å:
H -1.515 -2.270 0.935  0.24
N -1.117 -0.431 0.219  -0.39
C -0.068 0.279 0.357  -0.07
H 3.461 0.250 1.986  0.27
H -0.939 3.085 0.662  0.21
H -3.375 1.985 -0.065  0.46
N -2.361 1.556 0.033  -0.49
C 2.670 -0.494 1.605  -1.11
C -2.328 0.189 -0.042  0.28
H -3.546 -1.477 0.168  0.24
H 0.081 -2.108 0.306  0.24
C 2.092 2.112 -0.257  -1.05
H 1.871 -0.478 2.421  0.25
C -3.622 -0.529 -0.355  -0.64
H -1.199 -2.355 -0.827  0.25
H 1.154 -1.146 -2.072  0.23
H 2.265 -2.064 -0.917  0.24
Si 1.821 0.185 0.011  1.51
C 2.095 -1.075 -1.473  -1.07
C -1.238 2.243 0.202  0.07
H -3.496 -0.861 -1.375  0.24
H -4.397 0.229 -0.082  0.24
H 3.039 2.380 -0.555  0.25
H 3.184 -1.437 1.540  0.26
C -0.952 -1.845 0.086  -0.43
H 2.166 2.552 0.718  0.25
H 1.399 2.457 -1.025  0.25
H 2.857 -0.933 -2.203  0.27

Here is a gas-phase ion, C8H17N3 (charge +2) from OMol25. Energies are from ωB97M-V/def2-TZVPD.

Properties
Multiplicity ... 1
LUMO level ... -7.84 eV
Total charge ... +2
SMILES string ... C[NH+](C)/C=C1/N=CC[N+]1(C)C
Highest occupied orbital energy ... -17.97 eV

Last column: natural (NBO) charge in e.
Atoms and positions in Å:
H 0.601 0.674 -2.282  0.27
C 1.298 1.451 0.896  -0.40
N 1.296 0.486 -0.182  -0.26
N 1.515 -1.754 0.622  -0.38
H -1.781 0.695 0.588  0.44
C -0.685 -1.022 0.612  -0.05
C 0.612 -0.770 0.327  0.32
H 3.580 -2.111 0.455  0.28
H 3.550 0.754 0.004  0.30
C -3.015 -0.656 1.209  -0.46
H -3.452 -1.660 1.025  0.27
H -1.796 -1.292 -1.522  0.24
C -2.282 -0.411 -1.166  -0.41
H -0.963 -2.008 0.766  0.26
H 0.162 1.984 -1.040  0.23
N -1.905 -0.269 0.300  -0.37
H 1.588 2.401 0.557  0.25
H 1.746 1.780 -1.625  0.25
H -3.322 -0.383 -1.275  0.26
H 2.010 1.111 1.649  0.26
H -2.687 -0.821 2.254  0.26
H 0.201 1.585 1.245  0.21
C 2.694 -1.412 0.304  0.17
C 0.905 1.220 -1.365  -0.43
H 2.898 -0.254 -1.431  0.28
H -3.733 0.266 1.202  0.26
H -1.795 0.438 -1.832  0.24
C 2.759 -0.022 -0.297  -0.31

Here is 2 unconnected molecules or ions with the total composition C8H17N4 from OMol25. Energies are from ωB97M-V/def2-TZVPD.

Properties
Multiplicity ... 1
LUMO level ... -2.96 eV
Total charge ... +1
Highest occupied orbital energy ... -10.90 eV

Last column: natural (NBO) charge in e.
Atoms and positions in Å:
N 0.424 1.254 -0.680  -0.56
H 0.115 -0.960 2.139  0.23
H 1.606 -0.401 1.265  0.20
H -2.304 1.927 1.726  0.23
N -0.980 0.204 -2.237  -0.85
H 1.644 3.774 0.969  0.44
H -1.964 -0.049 -2.445  0.40
H -1.725 -2.344 -0.490  0.22
C -1.610 1.479 1.117  -0.03
H 2.435 2.392 0.282  0.41
H -0.275 -0.318 -2.726  0.38
-- stop --

== Worked solution ==
SMILES string ... CCN1C=[N+](O[C@@H](C)OC)CC1
SMILES string ... C[NH+](C)/C=C1/N=CC[N+]1(C)C